(Wanted)
Please search the contents further below for the word "Ir" and reproduce each line that has it.

(Input)
┌──
75
Properties=species:S:1:pos:R:3 method="wB97M-V/def2-TZVPD" charge=+1 relative_energy_kcal_mol=0.0 e_homo_ev="-9.9 / -10.8" lumo_ev="-3.8 / -6.0" e_tot_ha=-2151.24003 s_squared=6.050 multiplicity=5
F -2.51468 -1.95720 5.66364
B -2.37791 -2.64364 4.41727
H 0.77846 1.34540 -1.82080
H 3.22185 -0.87628 3.48123
H 0.04126 -2.65216 2.46363
H -2.25819 3.17784 -3.57528
C -0.19406 1.90283 2.53197
C -0.98737 0.87965 -5.06415
C 1.83711 -1.55805 -0.48346
C 1.49354 -2.35028 0.83020
H 2.94324 -1.64561 -0.61838
H -3.06570 -1.14982 -3.90653
H 3.23234 2.54932 1.84757
C 0.80010 -0.55185 5.23455
C -0.47488 1.03224 3.67618
H -0.24949 4.00312 2.91767
H -1.18711 -2.33589 -0.84507
H 0.54926 0.00448 6.14433
H 1.85023 3.26683 0.97168
H -0.90691 3.47835 1.32454
H -2.00966 0.09231 4.79460
H -2.09953 0.96960 -5.02878
H -0.27949 -3.79657 -5.00905
H 1.86829 2.78681 -3.49178
C 0.41959 0.51350 -1.14890
C 1.41664 1.96897 -4.07370
Ir 0.27774 1.55303 0.55187
F -2.91392 -1.80143 3.39540
C -0.50057 -0.56943 -5.29373
H 1.40787 -2.10629 -1.34561
C 1.74259 0.64076 3.16506
H -1.13619 -0.97934 -6.10053
C -1.32866 -1.33144 -0.41271
H 0.56214 -0.62483 -5.62012
H 3.75908 0.51892 2.55610
C -0.82915 3.22886 2.39285
H -0.73630 4.10648 -3.17722
H 3.55459 0.63347 4.31439
H 0.62685 -3.67636 -3.45353
C 0.14701 -2.21022 1.47533
H 2.48851 0.56024 -0.71975
H -0.60200 1.50430 -5.88898
H 1.44712 2.19949 -5.14856
H -0.46637 -0.97144 -2.37985
H -1.82948 3.16073 2.81603
H -2.72757 -2.77356 -4.63482
C 0.69298 0.31696 4.02461
P -0.70384 -1.72784 -3.90005
C -2.48504 -2.08824 -3.80676
H -2.70545 -2.57333 -2.83640
H 2.31291 -2.15016 1.55101
H -1.43278 -0.82034 1.73061
H -2.47616 1.65334 4.06361
H -1.61501 0.32570 -1.81609
H 1.97130 1.03626 -3.88216
C -0.79095 -0.31891 -1.47101
H -1.08629 3.58947 -4.89776
P -0.33438 1.76486 -3.54905
C 2.19325 2.88127 1.94448
H 1.19281 -2.77054 -4.91541
C 1.60602 -0.08611 -0.59486
C 3.13677 0.21235 3.38969
H 1.81175 -0.93605 5.35120
F -0.96242 -2.83739 4.17392
H 2.13343 3.68098 2.69585
H 1.61186 -3.43701 0.63413
C -0.87837 -1.44549 1.01323
H -2.41371 -1.13750 -0.36122
C 1.30543 1.72934 2.26761
H -1.42730 1.60069 5.50898
H 0.12176 -1.40303 5.17210
C 0.31163 -3.13725 -4.36010
F -3.02156 -3.88820 4.42763
C -1.19547 3.34367 -3.82843
C -1.66335 1.10661 4.54588

***

74
Properties=species:S:1:pos:R:3 method="wB97M-V/def2-TZVPD" charge=+3 relative_energy_kcal_mol=8.0 e_homo_ev=-15.8 lumo_ev=-11.2 e_tot_ha=-4688.76870 multiplicity=1
H 2.15809 -1.25758 -6.29282
C 0.53823 -3.86368 -3.98380
H -2.70247 -1.86881 2.63695
C 1.76773 -1.82175 -4.22855
H 1.08521 -3.40288 -7.24177
H 0.06471 1.36592 -4.96525
C -1.22235 4.59688 2.35492
H -1.98351 4.75336 5.58844
H -3.48252 1.25812 0.36223
H -0.42896 4.35618 -0.80161
H -0.68952 -3.61675 1.68860
N -0.98626 5.18582 1.10288
H 3.83106 1.57945 -1.05125
H 1.79123 -1.05253 3.67924
H 2.26971 -0.96298 -3.80231
H 4.84882 0.37371 -0.21819
H 0.09030 -4.88230 -5.81007
C -1.71285 4.31792 4.62828
H 1.61153 2.64943 -2.61485
C 0.73965 -0.91838 3.91464
H 2.95991 -1.77905 2.00094
H 3.24234 -2.15178 0.28310
C -1.13666 2.34611 3.29269
H -1.05863 6.20094 0.86132
C -2.72551 -2.33314 -0.43937
H 3.12873 2.29405 1.51332
H -1.68740 6.27767 3.55383
H 4.44275 -1.16474 1.15616
H -1.64875 2.32491 5.43362
C 1.15199 -2.78268 -3.40304
P -2.16798 -0.57593 -0.63272
C 3.22634 1.24206 1.81332
H -1.88525 -1.85599 4.25553
C 1.14559 -3.11960 -6.19525
H -3.83987 -0.86372 -2.35938
P -0.31509 -1.33305 2.45018
H 0.60214 0.13401 4.17824
H -0.97470 1.26619 3.18796
C 3.87264 0.53760 -0.70891
C 3.35999 -1.37974 1.05688
C 0.72314 2.02556 -2.97567
H -2.87329 -2.62743 0.60777
C -1.56921 5.18710 3.55455
H 1.93860 1.06932 -4.43562
C -0.00376 -3.15692 2.40266
Bi 0.03402 1.53911 -0.81454
C 0.57139 -4.03387 -5.34729
H -2.94656 0.66242 -2.61772
C 0.88695 1.32990 -4.21169
H -4.53212 0.01027 -0.35922
C -3.62451 0.18197 0.23425
H 0.03462 -4.60852 -3.39633
H -0.14070 -3.56975 3.41805
H -3.67325 -2.46962 -0.98674
C -0.63044 4.21152 0.23582
Se 1.05348 -3.02478 -1.41088
└──

(Done)
Ir 0.27774 1.55303 0.55187